News Tuesday, JUNE 16th, 1998

Radio Prague E News Written / Read by: Pauline Newman Date: 16.6.98

Hello and a very warm welcome to the programme. I'm Pauline Newman, first let's take a look at the main headlines of the day:

You are tuned to radio Prague, those were the headlines, now let's take a look at the news in full...

Klaus / Partnership

Former Czech Premier and current Chairman of the Civic Democratic Party, Vaclav Klaus said on Monday that if he is to defeat the opposition leftist Social Democrats in the elections, he will need the help of the Christian Democrats and the Freedom Union.

He said: "It will be impossible not to work with these parties and whatever happened between us in the past, is history". Klaus added that unfortunately, these two parties have not yet realised this and are still adamant that they would not form a coalition with the Civic democratic Party.

The animosity between Klaus and the two parties is well known. It is widely thought that Christian Democrat leader Josef Lux brought Klaus's government down last year and Freedom Union Chairman Jan Ruml, broke away from the ODS last year, forming this new party of his own with several others.

EU Expansion / Delay

The President of the European Parliament warned on Monday that the Union's planned enlargement could be delayed because of the need to reform its institutions and budget. He said it would be unlikely that the first accessions of new member states would be concluded before the end of the next Parliamentary term.

Poland, Hungary, the Czech Republic, Slovenia, Estonia and the divided Island of Cyprus are among the front runners for membership.

In the meantime, the European Commission has begun the process of naming the members of seventeen international specialist groups, which will help institute the European Union's scientific programmes. Czech experts are expected to be in the teams.

Each group will consist of 15 to 20 specialists, industrialists and other experts who will advise the European Union on various issues such as health care, benefits for pensioners, town planning, and energy. A commission spokesman said the groups should start working this July.

Havel / Broadcasts

Czech President Vaclav Havel is set to appear once on television and once on the radio today, addressing the Czech people before the elections later this week.

Mr Havel has said several times in the election run up, that people must avoid voting for extremist parties and being blinded by superficial campaigns.

On the 18th May, the President began a series of informal meetings with politicians at his chateau outside Prague. These have focused among other things, on the Czech entry to NATO and Czech - Romany relations.

Today, he is set to meet Interior Minister Cyril Svoboda, with whom he will discuss public administration and planned reforms to this sector.

Social Democrats / Unions

Deputy Chairman of the opposition Social Democrats Vladimir Spidla said on Monday, that if his party wins the elections at the end of this week, negotiations must start with the Trade Unions as soon as possible.

Spidla spoke of the growing conflict concerning the wages of workers and civil servants. He said that the next government will have to find a negotiator who will be able to come up with a solution to the problem by the end of the year.

The Social Democrats are expected to gain the greatest number of votes in the elections and have often stated their support for the Trade Unions, which are demanding a twenty percent pay rise.

Spidla's words come after party leader Milos Zeman said on Sunday that although workers will get a pay increase it will be within certain financial limits and not before January 1st of next year.

The Trade Unions staged a one hour strike on the eighth of June and say they intend to continue protest action after the elections, until their demands are met.

Cerbak / Resignation

Miroslav Cerbak, head of the team of doctors looking after Czech President Vaclav Havel has resigned from his post as deputy Health Minister.

When asked why he decided to resign, Cerbak said on Monday, that first and foremost, he is a doctor and not an office worker.

He also said that although he wants to return to his original place of work, which is a hospital in a town north of Prague, he has to examine Vaclav Havel at the end of next month and will stay if he can continue to be of use to the President.

Prague Spring / Paris

A two day conference on the Prague Spring begins on Tuesday in Paris. Chairman of the Czech Senate Petr Pithart will be among the historians, philosophers and politicians attending.

The event will look at the background to the Prague Spring of 1968, the international reaction and its links with the Velvet Revolution of 1989.

The Prague Spring, was the brief period of liberalisation under Czechoslovak Communist leader Alexander Dubcek. Unfortunately, the little state pushed too hard for greater freedom under Moscow's gaze and Soviet tanks soon rolled in, crushing the optimism.

**Records of crystals, as found in the file:**
Computed PXRD pattern of PrRu2O8 for Cu Kα (weighted mean of Kα1 and Kα2), from a DFT-relaxed cell (GGA-PBE, Alexandria).
Intensities are scaled so that the largest is 100.

The 10 most intense peaks (2θ = 5–70°), sorted by position:
2theta	I (rel.)	hkl
15.74	52	1 1 1
18.19	10	2 0 0
25.84	100	2 2 0
30.40	9	3 1 1
36.86	8	4 0 0
40.31	21	3 3 1
45.57	39	4 2 2
53.12	20	4 4 0
55.76	8	5 3 1
59.99	16	6 2 0

Structural model:
```
data_PrRu2O8
_chemical_formula_sum 'Pr4 Ru8 O32'
_cell_length_a 9.7529
_cell_length_b 9.7529
_cell_length_c 9.7529
_cell_angle_alpha 90.00
_cell_angle_beta 90.00
_cell_angle_gamma 90.00
_symmetry_space_group_name_H-M 'F m -3 m'
_symmetry_Int_Tables_number 225
_symmetry_space_group_name_Hall '-F 4 2 3'
loop_
_atom_site_label
_atom_site_fract_x
_atom_site_fract_y
_atom_site_fract_z
_atom_site_occupancy
Pr1 0.0000 0.0000 0.0000 1
Ru1 0.2500 0.2500 0.2500 1
O1 0.1456 0.1456 0.1456 1
```


Computed PXRD pattern of Pr2AlGa6Pd for Cu Kα (weighted mean of Kα1 and Kα2), from a DFT-relaxed cell (GGA-PBE, Alexandria).
Intensities are scaled so that the largest is 100.

The 10 most intense peaks (2θ = 5–70°), sorted by position:
2theta	I (rel.)	hkl
27.77	69	1 1 0
29.95	62	1 0 10
30.34	28	0 0 12
32.17	32	0 1 11
34.65	100	2 0 5
36.89	79	0 2 7
41.30	39	0 2 10
44.98	23	1 2 5
54.77	47	1 1 18
57.37	39	2 2 0

Structural model:
```
data_Pr2AlGa6Pd
_chemical_formula_sum 'Pr12 Al6 Ga36 Pd6'
_cell_length_a 6.4242
_cell_length_b 6.4242
_cell_length_c 35.3508
_cell_angle_alpha 90.00
_cell_angle_beta 90.00
_cell_angle_gamma 120.00
_symmetry_space_group_name_H-M 'R -3 m'
_symmetry_Int_Tables_number 166
_symmetry_space_group_name_Hall '-R 3 2"'
loop_
_atom_site_label
_atom_site_fract_x
_atom_site_fract_y
_atom_site_fract_z
_atom_site_occupancy
Pr1 0.0000 0.0000 0.1080 1
Pr2 0.0000 0.0000 0.2845 1
Al1 0.0000 0.0000 0.4276 1
Ga1 0.0521 0.5260 0.2977 1
Ga2 0.0723 0.5362 0.8659 1
Pd1 0.0000 0.0000 0.0000 1
Pd2 0.0000 0.0000 0.5000 1
```

* * * * *

For Mg2Al2O5, DFT lattice parameters and positions (PBE) gives the simulated powder diffractogram in this record (λ = 1.5418 Å (Cu Kα)).

a = 3.601 Å, b = 3.601 Å, c = 7.010 Å
α = 90.00°, β = 90.00°, γ = 90.00°
Sites, in units of the cell vectors:
Mg  0.000  0.000  0.000
Mg  0.000  0.000  0.500
Al  0.500  0.500  0.244
Al  0.500  0.500  0.756
O  0.000  0.500  0.196
O  0.000  0.500  0.804
O  0.500  0.000  0.196
O  0.500  0.000  0.804
O  0.500  0.500  0.500

Main lines, in order of falling intensity (2θ = 10–90°):
two_theta, I/Imax, index
35.7, 100, 1 0 2
50.7, 72, 2 0 0
63.6, 38, 2 1 2
43.9, 27, 1 1 2
64.6, 24, 1 1 4
75.7, 21, 2 0 4

* * * * *

Theoretical X-ray powder pattern of Li3Bi2P3O12 for Cu Kα X-rays, from a DFT-relaxed cell (GGA-PBE, Alexandria).
No peak broadening, texture or thermal motion is included.

Principal peaks in the range 5° ≤ 2θ ≤ 70°, low angle first:
d_spacing  I/Imax  hkl
6.560  51.4  0 1 2
4.842  85.4  1 0 4
4.459  72.4  1 1 0
3.280  37.1  0 2 4
3.035  100.0  1 1 6
2.642  33.9  2 1 4
**End of the records of crystals:**

Jan Kavan, a student leader in 1968, has said that he sees clear links between what was attempted 30 years ago and what finally succeeded in 1989. He believes the motivation and the main desires behind it were identical.

And we end as usual with a brief look at the weather:

Tuesday's weather will be slightly cooler, with overcast, cloudy skies. Temperatures will range from 19 to 23 degrees celsius, making it quite a muggy and heavy day, bringing with it the possibility of some rain towards the evening. It will become chillier overnight, because temperatures are set to fall to as low as 8 degrees celsius.

I'm Pauline Newman and that's the end of the news.